So, took a little break the last week because I'm absolutely struggling...a lot. It was September 5th last year when Nixi had the psychotic break that she's never returned from. I was actually looking for that date a few days before last week's blog so I could write about it. When I opened the log I started from that day forward leading up to our first UC Davis visit in November of 2013, I started reading it and it floored me.
When you are a special needs parent, regardless of the special need, you are a firefighter. You are so used to putting out fires on a daily basis, and so relieved when they're done smoldering, that you just trudge ahead and sort of block out the details of those fires. You have to or you'd never be able to cope with the next fire, because its coming...its always coming.
I can see that Nixi's illness is progressing, her meds not working as we all had hoped they would, I can see the big picture. What I forget is how we got here. I am so relieved the moment there is a shred of stability that I block out everything leading up to that point, or at least the specific details. I read that log and was shocked, I mean really shocked. As I was reading I kept having these visual memories of the events a mere year ago. October 2012 was when Nixi's illness hit a fevered pitch. I remember her walking down the sidewalk trick or treating on Halloween, holding Emily's hand and telling her that she was actively seeing a disembodied hand. There was an entry for every day from September 5th until the night before the first Davis trip........and there has been an entry everyday thereafter. In fact, it has just been in the past month or so that I have started not keeping daily records simply because now its more notable when Nixi is not absolutely out of her mind. So, I now keep a log of "stable enough" days. That log is short.
Calculated crystals that have nothing to do with the entry:
____________
A plane-wave DFT calculation with r2SCAN was carried out for crystalline Ca2Bi at its relaxed geometry.

Summary:
**Total DFT energy (no corrections)**: -25.101 eV/atom
**Volume**: 33.37 A^3/atom
**Magnetic moment**: 0.0 μB per cell
**DFT formation energy**: -0.91 eV/atom

extended XYZ file:
```
6
Lattice="-2.4255 2.4255 8.5077 2.4255 -2.4255 8.5077 2.4255 2.4255 -8.5077" Properties=species:S:1:pos:R:3 pbc="T T T"
Ca 2.4255 0.0000 0.0000
Ca 0.0000 0.0000 2.9641
Ca 0.0000 2.4255 0.0000
Ca 0.0000 0.0000 14.0512
Bi 0.0000 0.0000 6.1892
Bi 0.0000 0.0000 10.8261
```
____________
So, right now Nix is flip week "stable enough", the next week unhinged, then "stable enough". Last week, not so great...worse, yet, she initially appeared "stable enough" because she's getting so good at hiding her symptoms. This week, she's "stable enough".
One of the hard parts of this illness is that it makes her feel exceptionally special...grandiosity...a feature of the psychotic disorders. She has people in her head that tell her what's going to happen in the future, that she's an angel, what others are thinking, etc. Yes, these same "people", auditory hallucinations, are also exceptionally cruel and scary...but they give her knowledge that no other living being has. A side effect of that is a deep sense of entitlement. When Nixi is relatively stable, and her meds are working really well (like one month out of all of this), she is absolutely the sweetest, most empathic and intuitive child you have ever met. The less stable and the worse her symptoms are, the more demanding, hostile, mean, obstinate, and downright cruel she can be. She treats me like I am a fool, an utter imbecile. She is exceptionally bright so she is able to come up with really cruel venom to spew when she isn't given her way. Now, she NEVER blames any misbehavior on her illness, remember, she's hiding it and at her worst doesn't believe that she is ill at all. Its draining to have a 4 and a half yr old that you love so dearly and that you know loves you back bark orders at all day, speak in a nasty and disrespectful tone, etc. I don't accept this part of her illness. Its not okay to treat others poorly and she is given consequences for each and every dagger that flies out of her mouth. And I feel ok with that, because I will never allow a symptom to be shaped into a behavior. The sad part of it it, the consequences are largely ineffective because only about 10% of this is a jerky little kid, the rest is a schizophrenic person who is not stable and no behavior modification is going to change that. So, I continue with the consequences and behavior plan most surely to make myself feel less powerless in this situation. But if that helps, I'll take it. No other choice.
Safi has been a little up an down with school but things are leveling out. She had a great field trip to the farm with her dad last week, lots of fun, and her Sophia were two peas in a happy pod again. She is, on a whole, really doing well and its hard because I don't want her to get lost in the enormity of her sister's illness and personality. We need to ramp up the social skills work because she wants to be a mom when she grows up. If she's going to reach that goal we've got a hell of a long way to go but its doable. She would be a wonderfully caring and creative mother. I may just be a grandma one of these days, yet! She certainly has a slew of little admirers vying for her attention at school. Its really cute, and she has no clue its even going on...most of the time she's not even aware that she's involved in the interaction. We will work on this. We will nail it. She is amazing.

The girls had their first overnight stay at dad's and it went wonderfully. Nix was very nervous about it, Safi was extremely excited. At the end of the day, or night, they were both delighted with the stay and looking forward to their next one next weekend. Fallout Saturday night and Sunday was pretty severe, but that's what its going to be for a while and that's ok. We still had dinner with Emily and the kids Saturday night then hit the pumpkin patch with them today.
We powered through and we will be starting the week in an okay place. All I can ask for and sometimes that's even too much, but not this week...this week we are going to be okay. Who knows, fabulous could even be lurking just around the corner!
Nixi last week after school...Tues
And, to get you in the Halloween mood, Safi reads books Nixi made in school for our bedtime stories..